Friday, September 24, 2010

Indigent Dental Clinic Florida

........
[1]
VASP calculation (PBE+U) on crystalline Cr2InIF at its relaxed geometry.

abc: 4.7744 5.6517 4.7744
angles: 90.00 90.00 90.00
Last column: nearest neighbours and their distance in Å.
Atoms (fractional coordinates):
Cr  0.5000  0.0000  0.0000  2 F 2.39
I  0.5000  0.5000  0.5000  4 In 3.38, 8 Cr 3.70
In  0.0000  0.5000  0.0000  2 F 2.83
Cr  0.0000  0.0000  0.5000  2 F 2.39
F  0.0000  0.0000  0.0000  4 Cr 2.39

## Properties
**Total magnetic moment**: 10.6 μB per formula unit
**Total energy**: -0.165 Ha/atom
**Density**: 4.7 g/cm³
**Symmetry**: P4/mmm

=====

[2]
VASP calculation (PBE+U) on crystalline LiCrPO4 at its relaxed geometry.

abc: 5.1288 9.2339 6.4395
angles: 90.00 90.00 90.00
Last column: nearest neighbours and their distance in Å.
Atoms (fractional coordinates):
O  0.0907  0.8549  0.2500  1 P 1.56
O  0.6544  0.8847  0.5570  1 P 1.55
Li  0.5000  0.5001  0.0000  4 O 2.10-2.15
Cr  0.9568  0.3612  0.2500  3 O 2.07-2.09
P  0.9691  0.3106  0.7500  4 O 1.55-1.56
O  0.3457  0.1153  0.0570  1 P 1.55
O  0.5907  0.6451  0.7500  1 P 1.56
O  0.8456  0.3847  0.9430  1 P 1.55
Cr  0.0432  0.6388  0.7500  3 O 2.07-2.09
O  0.4093  0.3549  0.2500  1 P 1.56
Cr  0.4568  0.1388  0.7500  3 O 2.07-2.09
O  0.2687  0.3398  0.7500  1 P 1.56
O  0.1543  0.6153  0.0570  1 P 1.55
O  0.1543  0.6153  0.4430  1 P 1.55
Cr  0.5432  0.8612  0.2500  3 O 2.07-2.09
P  0.4692  0.1894  0.2500  4 O 1.55-1.56
Li  0.5000  0.5001  0.5000  4 O 2.10-2.15
Li  0.0000  0.0001  0.0000  4 O 2.10-2.15
O  0.7312  0.6602  0.2500  1 P 1.56
Li  0.0000  0.0001  0.5000  4 O 2.10-2.15
P  0.5309  0.8106  0.7500  4 O 1.55-1.56
O  0.9093  0.1451  0.7500  1 P 1.56
O  0.7688  0.1602  0.2500  1 P 1.56
O  0.8456  0.3847  0.5570  1 P 1.55
P  0.0308  0.6894  0.2500  4 O 1.55-1.56
O  0.2313  0.8398  0.7500  1 P 1.56
O  0.3457  0.1153  0.4430  1 P 1.55
O  0.6544  0.8847  0.9430  1 P 1.55

## Properties
**Total magnetic moment**: 4.0 μB per formula unit
**Total energy**: -0.259 Ha/atom
**Excess energy over the best structure of this formula in the dataset**: 0.074 eV per atom
**Density**: 3.4 g/cm³
**Symmetry**: Pnma

=====

Question: What is the total magnetic moment in the first record?
Answer: 10.6 μB per formula unit


# 1
A relaxed La12DyPb3 crystal. Source: Alexandria via LeMat-Bulk, functional PBE.

As for the formation energy: -0.277 eV/atom. The density of states at the Fermi level is 1.2995 states/eV/atom. Its space-group type is P4/mmm (123). Its volume is 33.406 A^3/atom.

Cell: 5.091 5.091 20.620 Å, 90.00 90.00 90.00°
Sites, in units of the cell vectors:
La 0.000 0.000 0.000
La 0.000 0.000 0.246
La 0.000 0.000 0.500
La 0.000 0.000 0.754
La 0.000 0.500 0.123
La 0.000 0.500 0.371
La 0.000 0.500 0.629
La 0.000 0.500 0.877
La 0.500 0.000 0.123
La 0.500 0.000 0.371
La 0.500 0.000 0.629
La 0.500 0.000 0.877
Dy 0.500 0.500 0.500
Pb 0.500 0.500 0.000
Pb 0.500 0.500 0.246
Pb 0.500 0.500 0.754


# 2
A relaxed LaDyPb2 crystal. Source: Alexandria via LeMat-Bulk, functional PBE.
........
_The crystal structures stop here_

Io volevo solo stampare la tesi

We can do this in human skin is bound to € 20. Then double in the words cost 20 cents more, I'll print the paper they will be passed under luce lunare e se vuoi mettere un capello di Federico II i prezzi lievitano. Eh? Come la stampiamo questa tesi?

Tuesday, September 21, 2010

[Calculated crystals, kept here for reference]
~~~
(1)
Material: TePtWN2
Method: DFT, GGA-PBE
State: relaxed

Cell: 3.815 3.815 7.912 Å, 90.00 90.00 90.00°
Space group P4/mmm (No. 123)
Asymmetric unit:
Te  0.000  0.000  0.000 (multiplicity 1)
Pt  0.000  0.000  0.500 (multiplicity 1)
W  0.500  0.500  0.000 (multiplicity 1)
N  0.000  0.500  0.500 (multiplicity 2)

## Properties
* D(E_F): 4.34 states/eV/cell
* crystal system: tetragonal
* E above lowest polymorph: 6.192 eV/f.u.
* calculated density: 7.71 g/cm3
* magnetization: 0.67 μB/atom
* ΔE_f (raw): 8.91 eV per formula unit

(2)
Material: Dy8YCd6
Method: DFT, GGA-PBE
State: relaxed

Cell: 8.9669 8.9669 19.1097 Å, 90.00 90.00 120.00°
Space group R-3 (No. 148, hexagonal axes)
Asymmetric unit:
Dy  0.0000  0.0000  0.1662 (multiplicity 6)
Dy  0.9996  0.3340  0.6163 (multiplicity 18)
Y  0.0000  0.0000  0.5000 (multiplicity 3)
Cd  0.9998  0.3333  0.1149 (multiplicity 18)

## Properties
* D(E_F): 55.33 states/eV/cell
* crystal system: trigonal
* E_tot: -3.32 eV/atom
* calculated density: 7.72 g/cm3
* magnetization: 0.06 μB/atom

- Look up the magnetization of the first one.
  0.67 μB/atom

- Among the records above, which one has the lowest calculated density?
  TePtWN2

=====

Computed, not measured: crystalline Li3Mn2Si2O8 at its relaxed geometry at the PBE+U level of DFT.

Its crystal system is triclinic. Its symmetry is P1, No. 1. The calculation puts the polymorph energy (0 for the lowest one) at 0.018 eV per atom.

POSCAR file:
```
Li3Mn2Si2O8
1.0
-0.274 2.713 4.066
-5.425 -0.214 -0.076
-0.016 -5.542 3.747
Mn Si Li O
2 2 3 8
Cartesian
-4.481 -5.574 3.614
-1.052 -1.448 3.988
-2.066 -1.552 6.806
-3.809 -0.143 2.874
-1.868 -1.390 0.914
-4.413 -2.917 1.809
-1.144 1.292 2.044
-3.385 -4.044 2.977
-1.773 -2.461 5.464
-1.026 -2.793 2.449
-2.253 0.143 3.375
-3.744 -1.055 1.494
-1.097 -5.103 3.995
-4.664 -0.945 4.016
-4.625 1.248 2.524
```
~~~

Rehydration Salt Sugar

La giornata tipo della tesista

Ore 8.00 Canillo si approssima al mio letto cercando di attirare la mia attenzione a suon di "woof" e grattatine. Se si arrende se ne va, altrimenti rimane lì a fissarmi dormire e con l'unico intento di svegliarmi.
Ore 8.30 La vecchiaccia con la suoneria isterica inizia a ricevere telefonate a cui risponde "Bronto?" e deve parlare esclusivamente sul suo balcone (in camera mia cioè) con la sua soave voce da strega di Biancaneve.
Ore 9.00 Ritiro sacchetti della differenziata con canto degli addetti including (I know they receive an incentive, not explained).
10.00 am Awakening of the infant and its mother on the ground floor. The baby is named Gennaro, I know for sure, I can not be wrong.
10.00-12.00 Background of vacuum cleaners, chairs moved and slamming doors. Relative calm. Hours 12:00 to 14:00
E 'the time of the food. With reference to the screams of the cave for the puppies, Beautiful background and Tg over the decibels allowed by human endurance.
Hours 14:00 to 16:00 hours The preferred Oronzo and wife to quarrel. They, too, that apostrophised respectively unrepeatable epithets that are certainly not "credino" and "perdindirindina" and are strictly out door. Otherwise it's whim. As an alternative to or in support Oronzo and wife to the same symphony is the guy with the green car pea. He has to recharge the battery of that car with a broken carburetor, under my window. And it leaves the Genius in motion two hours. His excuse is that: micalofatuttiigiorni . Clear.
16.00-19.00 While her son, Gennaro, playing with pots and Cuppini football tournament starts alternately or bike ride jailbirds adorable miniature throughout the district. Always strictly under my window. The bounce of the ball is peppered with talk about the mothers of gay members their respective teams. Sometimes the sisters are also involved in discussions.
20.00 before dinner and not having enough smaronato, is healthy and just take the scooter model noisy and roam up and down.
22:00 pm After dinner, the tournament resumes or race. unabated. And sin 'criatura song and' god .

I am convinced that Hemingway wrote The Old Man and the Sea exactly the same conditions. I'm sure, in fact I envy.